Father of a Langley man shot by police starts support group

Al Wright has started Families for Police Accountability after his son was shot and killed by an RCMP officer in 2010

The first meeting of an advocacy group for families whose loved ones have been killed by police or while in police custody brought together some high profile names on  Nov. 25.

The group, which Al Wright helped organize after the police-shooting death of his son Alvin in Langley in 2010, is called Families for Police Accountability.

The group includes Zofia Cisowski, the mother of Robert Dziekanski who was Tasered in 2007 by RCMP at Vancouver International Airport; Linda Bush, mother of Ian Bush who was shot in the head while in an interview room at the Houston, B.C.  detachment; the family of Frank Paul; and David Boyd, whose son Paul was shot nine times by a Vancouver Police officer in 2007.

New video of his death has surfaced, calling into question police accounts of his death.

The sister of Greg Matters was also at the meeting. Matters was shot and killed by police recently in Prince George. It is the first case the Independent Investigation Office (IIO) is investigating.

# Data records, as found in the file
-- begin --
117
Properties=species:S:1:pos:R:3:forces:R:3 method="wB97M-V/def2-TZVPD" relative_energy_ev=0.000 homo_energy_ev="-15.57 / -15.98" spin_multiplicity=5 charge=+3 s2=6.0234 gap_ha="0.336 / 0.188" energy_ha=-4718.346354 mol_weight_g_mol=892.373
Pd -0.06420 0.59110 -0.23146 -0.551 0.777 0.107
C 1.55813 1.85752 0.74466 0.619 -0.004 1.515
C 1.04942 2.59489 1.92442 0.212 -2.491 -0.212
C 1.47014 3.92177 1.77505 0.869 2.041 -2.079
C 2.26390 3.97625 0.49989 -0.902 0.929 2.800
C 2.30764 2.73470 -0.06371 -0.943 -1.362 -0.998
C 2.83119 2.34646 -1.39650 0.014 0.915 0.083
C 3.10455 0.84905 -1.55553 0.574 -0.157 -1.879
C 4.10050 3.18581 -1.65670 0.515 -0.912 0.176
C 1.75705 2.79606 -2.43683 0.164 0.160 1.249
C 1.19266 5.22677 2.52897 0.776 0.575 -1.834
C -0.20415 5.32021 3.05110 -1.785 -0.967 1.109
C 2.23328 5.43593 3.59970 1.741 -0.058 -0.216
C 1.48067 6.45811 1.60235 0.829 -1.103 -1.722
C 0.40238 1.84173 3.09031 -0.406 0.957 -0.417
C 0.99349 2.37516 4.40674 0.419 -0.981 0.672
C 0.65255 0.34559 3.02260 0.311 -1.051 -0.406
C -1.11918 2.02882 3.12919 -0.728 1.078 -0.411
H 1.81323 0.77471 0.66563 -0.345 0.373 0.519
H 2.77790 4.85736 0.17078 0.039 0.164 -0.179
H 4.05709 0.58256 -1.09875 -0.050 -0.156 0.229
H 3.26178 0.71045 -2.68695 -0.292 -0.140 1.623
H 2.31558 0.13391 -1.23449 0.381 0.649 -0.259
H 4.87887 3.11625 -0.87860 -0.440 -0.258 -0.055
H 3.96377 4.25464 -1.83756 -0.334 -0.300 -0.307
H 4.47469 2.64257 -2.50660 0.795 0.611 -0.768
H 0.82798 2.27427 -2.21814 -0.269 -0.023 -0.204
H 2.04645 2.63621 -3.46433 0.315 -0.183 -0.193
H 1.62472 3.85728 -2.25598 -0.394 0.235 -0.318
H -0.31813 4.55984 3.85371 -0.112 0.752 -0.437
H -1.04539 5.07947 2.33172 1.148 0.597 0.420
H -0.38800 6.28782 3.54909 0.073 -0.306 -0.461
H 2.10683 4.83750 4.45558 -0.270 -0.703 1.142
H 2.25300 6.47563 3.89660 -0.149 0.243 0.165
H 3.26160 5.21974 3.21367 -0.765 0.154 0.178
H 1.10989 6.34019 0.55238 -0.360 0.297 0.962
H 2.57133 6.61682 1.44054 -0.560 -0.199 0.401
H 1.12368 7.34331 2.08461 -0.466 0.496 0.067
H 2.07932 2.52021 4.33808 -0.148 -0.290 0.056
H 0.78463 1.60825 5.20012 0.217 0.918 -0.536
H 0.58720 3.33044 4.70704 -0.207 -0.112 0.111
H 1.71648 0.15463 2.88717 0.188 -0.148 0.007
H 0.11478 -0.25998 2.22738 0.282 1.038 0.673
H 0.39195 -0.08818 3.99391 -0.129 0.008 -0.242
H -1.44219 3.08885 3.28092 0.301 -1.116 0.205
H -1.52467 1.36189 3.87220 -0.098 0.104 0.741
H -1.63430 1.71437 2.22759 0.274 -0.101 -0.519
N -1.13468 2.46593 -0.19797 -1.065 0.113 -0.824
C -2.11840 2.81464 -0.74013 -0.672 1.035 -0.387
N -3.19469 3.36174 -1.28121 1.194 -0.560 1.181
C -4.15922 4.08431 -0.42165 -0.380 -0.420 -0.031
C -5.45724 3.29601 -0.32342 -0.773 0.281 -0.714
C -5.87766 2.73990 -1.72230 0.269 1.473 -1.598
C -5.05107 3.34570 -2.94170 -0.283 0.975 0.863
C -3.54758 3.26752 -2.72062 0.344 -1.560 0.363
H -4.27849 5.01268 -0.94896 -0.332 0.678 0.121
H -3.77623 4.26313 0.57854 0.409 0.084 -0.107
H -6.23988 3.89266 0.17416 0.267 0.121 -0.544
H -5.33088 2.48393 0.36973 0.285 -0.607 0.205
-- stop --
# Back to the article

“There were a lot of common threads,” said Wright about the first meeting.

“A common theme is the families don’t trust police, the IIO, or the OPCC (Office of the Police Complaints Commission).

“We, as an advocacy group, are from a non-police base 100 per cent. We are the common citizens who have already been through that experience.”

(Unrelated to this piece: records of molecules)
~~~
1.
ORCA calculation (wB97M-V/def2-TZVPD) on 3 unconnected molecules or ions with the total composition C25H46ClN2O3.

CARTESIAN COORDINATES (ANGSTROEM)
C1 -0.118 -2.241 0.003
C2 -1.396 -1.975 0.232
C3 -2.461 -1.723 -0.849
N1 -2.313 -2.350 -2.083
C4 -1.637 -2.471 -3.141
C5 -2.191 -2.051 -4.484
C6 -0.301 -3.173 -3.216
C7 -3.761 -2.366 -0.174
Cl1 -4.772 -3.402 -1.180
N2 -4.533 -1.219 0.287
C8 -4.077 -0.089 -0.097
C9 -2.842 -0.181 -0.921
C10 -1.880 0.832 -0.249
C11 -0.519 1.007 -0.956
C12 0.654 0.913 0.024
C13 1.991 0.694 -0.678
C14 3.169 0.847 0.282
C15 -3.253 0.347 -2.312
O1 -4.223 1.357 -2.132
C16 -4.242 2.342 -3.173
C17 -3.359 3.548 -2.845
H1 0.362 -2.009 -0.943
H2 0.501 -2.713 0.757
H3 -1.741 -1.893 1.262
H4 -3.279 -2.040 -4.457
H5 -1.885 -2.736 -5.274
H6 -1.817 -1.052 -4.723
H7 0.475 -2.496 -3.580
H8 -0.019 -3.586 -2.252
H9 -0.384 -3.999 -3.924
H10 -3.504 -2.991 0.675
H11 -5.370 -1.342 0.846
H12 -4.561 0.834 0.189
H13 -2.418 1.783 -0.292
H14 -1.733 0.611 0.812
H15 -0.392 0.300 -1.782
H16 -0.499 2.010 -1.388
H17 0.728 1.857 0.572
H18 0.455 0.106 0.728
H19 2.098 1.413 -1.496
H20 2.017 -0.315 -1.104
H21 3.087 0.101 1.076
H22 4.126 0.689 -0.213
H23 3.159 1.837 0.739
H24 -3.660 -0.484 -2.891
H25 -2.372 0.724 -2.840
H26 -5.284 2.644 -3.257
H27 -3.958 1.879 -4.121
H28 -2.469 3.598 -3.469
H29 -3.912 4.476 -2.979
H30 -3.054 3.506 -1.799
C18 -1.811 2.686 4.689
C19 -1.973 1.385 5.473
C20 -2.104 0.364 4.352
O2 -1.328 0.864 3.259
C21 -0.964 2.230 3.509
H31 -1.338 3.484 5.258
H32 -2.784 3.042 4.345
H33 -1.075 1.186 6.061
H34 -2.828 1.382 6.146
H35 -3.150 0.264 4.033
H36 -1.731 -0.624 4.626
H37 0.103 2.268 3.746
H38 -1.137 2.814 2.603
C22 7.555 -1.767 1.631
C23 8.704 -0.803 1.342
C24 8.126 0.031 0.206
O3 6.714 0.084 0.428
C25 6.343 -0.867 1.427
H39 7.589 -2.206 2.627
H40 7.553 -2.579 0.900
H41 8.896 -0.175 2.215
H42 9.634 -1.298 1.068
H43 8.315 -0.438 -0.765
H44 8.515 1.049 0.178
H45 6.090 -0.328 2.346
H46 5.458 -1.405 1.084

**Multiplicity**: 1
**Frontier orbital gap**: 7.419 eV
**Net charge**: +1

Taken from the Mulliken analysis, the atomic charges in e are:
1 C -1.030
2 C -0.598
3 C 1.606
4 N -0.056
5 C 0.946
6 C -1.465
7 C -1.517
8 C -0.624
9 Cl -0.143
10 N 0.055
11 C -1.330
12 C 1.983
13 C -1.746
14 C -1.120
15 C -0.623
16 C -0.246
17 C -1.494
18 C -1.474
19 O -0.421
20 C -0.398
21 C -0.904
22 H -0.035
23 H 0.334
24 H 0.313
25 H 0.349
26 H 0.492
27 H 0.250
28 H 0.314
29 H 0.344
30 H 0.522
31 H 0.526
32 H 0.292
33 H 0.629
34 H 1.015
35 H 0.192
36 H 0.495
37 H 0.517
38 H 0.687
39 H 0.102
40 H 0.348
41 H 0.146
42 H 0.295
43 H 0.484
44 H 0.327
45 H 0.550
46 H 0.540
47 H 0.456
48 H 0.297
49 H 0.292
50 H 0.343
51 H 0.203
52 C -0.657
53 C -0.607
54 C -0.491
55 O -0.290
56 C -0.243
57 H 0.365
58 H 0.272
59 H 0.269
60 H 0.345
61 H 0.251
62 H 0.302
63 H 0.263
64 H 0.200
65 C -0.559
66 C -0.542
67 C -0.469
68 O -0.357
69 C -0.296
70 H 0.344
71 H 0.276
72 H 0.261
73 H 0.341
74 H 0.266
75 H 0.263
76 H 0.251
77 H 0.219

2.
~~~

He wishes he’d had a support group like this when his son was killed.

“It’s the middle of the night when the families are dealing with the loss, usually at the police station, and our advice is not to speak to anyone except maybe a lawyer.”

Wright co-operated fully with police after learning his son was killed and encouraged his other son, who was there at the shooting, to be interviewed by police.

He wouldn’t do that again, he said.

He is still hoping the OPCC will re-open the investigation into his son’s death after new forensic evidence came to light at the coroner’s inquest into his son’s death. Prior to the inquest, the OPCC had cleared RCMP Sgt. Don Davidson of any wrong-doing in the shooting. Police accounts of that fateful evening say Alvin came at Davidson in his bedroom carrying a hunting knife, when he was shot and killed.

Pictures taken by police of the room show a hunting knife on the floor.

• Here the article breaks off for molecular data:
- - -
3 unconnected molecules or ions with the total composition C9H21N3O3. Source: the Open Molecules 2025 dataset; level of theory: the ωB97M-V functional and the def2-TZVPD basis.

Last column: natural (NBO) charge in e.
Geometry (Å):
C1 3.554 1.090 -1.728  0.434
O1 2.497 0.782 -2.330  -0.267
N1 4.775 0.615 -1.772  -0.075
C2 5.826 1.528 -1.234  -0.447
C3 5.220 -0.633 -2.394  -0.455
H1 3.440 1.912 -1.005  0.177
H2 5.562 2.549 -0.961  0.267
H3 6.580 1.518 -2.022  0.259
H4 6.241 1.094 -0.324  0.269
H5 6.250 -0.814 -2.087  0.254
H6 4.586 -1.508 -2.250  0.287
H7 5.258 -0.374 -3.453  0.281
C4 -0.901 1.584 -0.535  0.540
O2 -1.920 1.633 -1.171  -0.591
N2 -0.902 1.780 0.805  -0.435
C5 0.158 1.116 1.618  -0.411
C6 -2.178 1.977 1.585  -0.426
H8 0.123 1.471 -0.922  0.097
H9 0.315 1.697 2.527  0.214
H10 1.044 1.306 1.013  0.173
H11 0.003 0.038 1.666  0.221
H12 -1.928 2.242 2.613  0.204
H13 -2.860 2.766 1.268  0.229
H14 -2.809 1.089 1.622  0.200
C7 -2.835 -1.667 -0.045  0.507
O3 -1.649 -2.104 0.029  -0.683
N3 -3.822 -2.093 0.734  -0.415
C8 -5.201 -1.582 0.538  -0.415
C9 -3.625 -3.240 1.687  -0.426
H15 -3.033 -0.781 -0.668  0.148
H16 -5.240 -0.766 -0.183  0.223
H17 -5.624 -1.150 1.445  0.205
H18 -5.865 -2.339 0.119  0.205
H19 -2.696 -3.801 1.787  0.250
H20 -4.007 -2.939 2.663  0.202
H21 -4.339 -3.999 1.365  0.199
- - -

“Our mandate is to comfort the next victims, which we already did with the family of Greg Matters,” he said.

To get in touch with the group call the B.C. Civil Liberties Association at 604-687-2919.

Langley Times